Here is a structure of composition C2H7S2 from the Open Molecules 2025 dataset. Energies are from the ωB97M-V functional and the def2-TZVPD basis.

XYZ file:
```
11
Properties=species:S:1:pos:R:3:lowdin_charge:R:1
C -1.19447 1.20515 -1.04423 -0.6795
H -1.73733 0.42343 -1.51312 0.0092
H 1.98160 -1.33076 1.64865 -0.3024
H -2.72724 1.83167 0.41267 0.0441
C -1.76744 1.27699 0.39255 -0.2436
H -1.08685 1.89798 1.06541 0.0619
H -1.74530 0.28958 0.92799 0.0553
S 0.85554 -1.89617 1.15945 0.1074
S 0.62396 0.67345 -0.99189 0.2515
H -1.27913 2.18612 -1.54006 0.0353
H 0.69361 -0.62732 0.22758 -0.3392
```

Properties
LUMO: 3.852 eV
DFT total energy: -876.79118 a.u.
Orbital gap: 6.989 eV
Spin multiplicity: 1
Molar mass: 95.212 u
Total charge: -1
Highest occupied orbital energy: -0.1153 Eh

=====

C6H13ClO8P2 | ωB97M-V/def2-TZVPD

The geometry in XYZ format:
```
30
Properties=species:S:1:pos:R:3:forces:R:3:mulliken_charge:R:1
C 2.03737 -1.43463 -1.87909 0.53 0.47 -0.02 -1.285
C 2.31448 -1.52917 -0.35326 -0.44 -0.84 -0.39 0.226
Cl 3.70597 -0.44822 0.08390 -0.43 -0.21 -0.08 -0.171
C 1.08454 -1.33992 0.56958 0.05 -0.29 -0.05 -1.231
C 0.01288 -0.35518 0.06680 1.11 -0.33 -0.49 0.004
C 0.54459 1.04720 -0.33897 -1.21 -0.21 1.18 -0.844
P 1.17745 2.10780 1.03917 1.62 1.62 -0.78 0.872
O 2.32374 2.85778 0.50566 0.26 0.13 -0.30 -0.755
O 1.68014 1.26894 2.30814 -1.42 -0.05 0.02 -0.496
O 0.02044 3.18795 1.46110 0.27 -1.76 -0.15 -0.506
O -0.95956 -0.23852 1.14121 -0.24 -0.29 -0.82 -0.389
C -2.13399 0.28416 0.70168 0.65 -1.00 -0.18 0.473
O -2.43817 1.37328 1.01177 -1.13 2.38 0.51 -0.418
P -3.34876 -0.67011 -0.34268 -1.15 -1.38 -1.09 0.967
O -2.79041 -1.89382 -0.89328 0.59 -0.51 0.06 -0.632
O -4.64162 -0.91632 0.60563 1.23 0.64 -0.14 -0.478
O -3.91373 0.26477 -1.53556 0.85 0.56 1.95 -0.501
H 0.98232 -1.55980 -2.15973 0.29 -0.06 0.25 0.281
H 2.62736 -2.17711 -2.43857 -0.20 0.23 0.32 0.354
H 2.38632 -0.44733 -2.22383 -0.32 -0.38 -0.06 0.354
H 2.67797 -2.55114 -0.17034 0.03 0.50 0.17 0.454
H 1.42881 -1.11143 1.59009 -0.22 0.22 -0.42 0.394
H 0.59150 -2.32754 0.64743 0.12 0.39 -0.14 0.362
H -0.46582 -0.80505 -0.82250 -0.03 0.15 0.47 0.627
H 1.32671 1.03429 -1.10451 -0.05 -0.18 0.45 0.329
H -0.31025 1.59559 -0.78323 0.40 -0.08 0.17 0.584
H 2.55309 1.59081 2.58641 -0.19 0.06 -0.32 0.348
H -0.35350 3.45422 0.60445 -0.14 0.27 0.44 0.383
H -4.33768 -1.44842 1.36139 -0.40 -0.01 -0.12 0.339
H -3.78220 1.18689 -1.23887 -0.46 -0.05 -0.44 0.359
```
Forces are in eV/Å.

Results
- gap between HOMO and LUMO (hartree) = 0.3701
- molecular weight (g/mol) = 310.56
- SMILES = C[C@@H](Cl)C[C@H](CP(=O)(O)O)OC(=O)P(=O)(O)O

C6H13INS | ωB97M-V/def2-TZVPD

The geometry in XYZ format:
```
22
Properties=species:S:1:pos:R:3:forces:R:3:mulliken_charge:R:1
C 1.37536 0.79261 -1.95662 0.40 -1.04 3.18 -0.619
C 1.28884 -0.73446 -1.95131 -1.60 -0.71 -0.16 -0.607
C 0.23838 1.31229 -1.04262 2.98 2.99 0.36 -0.728
C 0.28000 -0.96947 -0.82426 -0.10 -0.47 -1.42 -0.564
C -1.16215 -1.36552 2.91797 0.61 0.16 0.14 -0.725
C -1.04328 0.31085 0.78950 -0.95 -0.72 1.52 -0.487
N 0.18682 0.25549 0.00032 0.19 0.78 -0.03 0.000
S -1.14677 1.65847 1.85887 2.33 0.59 -1.02 -0.119
I -0.08603 -0.08581 4.20391 -0.40 -1.28 -0.09 0.145
H 2.26108 0.85682 -1.32623 0.69 1.34 -0.77 0.262
H 1.32189 1.28771 -2.85838 0.70 0.98 -1.93 0.456
H 0.86614 -1.23048 -2.82252 -0.13 0.47 -0.35 0.309
H 2.15941 -1.34588 -1.76875 0.85 0.70 0.15 0.315
H 0.32359 2.43319 -0.63732 0.66 -2.68 -0.23 0.364
H -0.58916 1.49432 -1.61977 -2.86 -0.89 -0.96 0.459
H -0.66379 -1.13900 -1.35394 -0.19 0.06 0.97 0.361
H 0.59580 -1.76489 -0.22590 -0.15 -1.36 1.09 0.403
H -2.23838 -1.40920 3.10377 0.28 0.33 -0.13 0.355
H -0.70888 -2.35663 2.77694 0.05 0.63 -0.09 0.374
H -1.96441 -0.09950 0.32148 1.14 0.38 0.17 0.395
H 1.11406 0.37452 0.54454 -2.00 -0.35 -0.42 0.469
H -2.40849 1.72456 1.87031 -2.50 0.07 0.01 0.181
```
Forces are in eV/Å.

Results
- gap between HOMO and LUMO (alpha / beta) (hartree) = 0.2847 / 0.2918
Return the lines further above up to the one that holds "-0.607", that line included.
Here is a structure of composition C2H7S2 from the Open Molecules 2025 dataset. Energies are from the ωB97M-V functional and the def2-TZVPD basis.

XYZ file:
```
11
Properties=species:S:1:pos:R:3:lowdin_charge:R:1
C -1.19447 1.20515 -1.04423 -0.6795
H -1.73733 0.42343 -1.51312 0.0092
H 1.98160 -1.33076 1.64865 -0.3024
H -2.72724 1.83167 0.41267 0.0441
C -1.76744 1.27699 0.39255 -0.2436
H -1.08685 1.89798 1.06541 0.0619
H -1.74530 0.28958 0.92799 0.0553
S 0.85554 -1.89617 1.15945 0.1074
S 0.62396 0.67345 -0.99189 0.2515
H -1.27913 2.18612 -1.54006 0.0353
H 0.69361 -0.62732 0.22758 -0.3392
```

Properties
LUMO: 3.852 eV
DFT total energy: -876.79118 a.u.
Orbital gap: 6.989 eV
Spin multiplicity: 1
Molar mass: 95.212 u
Total charge: -1
Highest occupied orbital energy: -0.1153 Eh

=====

C6H13ClO8P2 | ωB97M-V/def2-TZVPD

The geometry in XYZ format:
```
30
Properties=species:S:1:pos:R:3:forces:R:3:mulliken_charge:R:1
C 2.03737 -1.43463 -1.87909 0.53 0.47 -0.02 -1.285
C 2.31448 -1.52917 -0.35326 -0.44 -0.84 -0.39 0.226
Cl 3.70597 -0.44822 0.08390 -0.43 -0.21 -0.08 -0.171
C 1.08454 -1.33992 0.56958 0.05 -0.29 -0.05 -1.231
C 0.01288 -0.35518 0.06680 1.11 -0.33 -0.49 0.004
C 0.54459 1.04720 -0.33897 -1.21 -0.21 1.18 -0.844
P 1.17745 2.10780 1.03917 1.62 1.62 -0.78 0.872
O 2.32374 2.85778 0.50566 0.26 0.13 -0.30 -0.755
O 1.68014 1.26894 2.30814 -1.42 -0.05 0.02 -0.496
O 0.02044 3.18795 1.46110 0.27 -1.76 -0.15 -0.506
O -0.95956 -0.23852 1.14121 -0.24 -0.29 -0.82 -0.389
C -2.13399 0.28416 0.70168 0.65 -1.00 -0.18 0.473
O -2.43817 1.37328 1.01177 -1.13 2.38 0.51 -0.418
P -3.34876 -0.67011 -0.34268 -1.15 -1.38 -1.09 0.967
O -2.79041 -1.89382 -0.89328 0.59 -0.51 0.06 -0.632
O -4.64162 -0.91632 0.60563 1.23 0.64 -0.14 -0.478
O -3.91373 0.26477 -1.53556 0.85 0.56 1.95 -0.501
H 0.98232 -1.55980 -2.15973 0.29 -0.06 0.25 0.281
H 2.62736 -2.17711 -2.43857 -0.20 0.23 0.32 0.354
H 2.38632 -0.44733 -2.22383 -0.32 -0.38 -0.06 0.354
H 2.67797 -2.55114 -0.17034 0.03 0.50 0.17 0.454
H 1.42881 -1.11143 1.59009 -0.22 0.22 -0.42 0.394
H 0.59150 -2.32754 0.64743 0.12 0.39 -0.14 0.362
H -0.46582 -0.80505 -0.82250 -0.03 0.15 0.47 0.627
H 1.32671 1.03429 -1.10451 -0.05 -0.18 0.45 0.329
H -0.31025 1.59559 -0.78323 0.40 -0.08 0.17 0.584
H 2.55309 1.59081 2.58641 -0.19 0.06 -0.32 0.348
H -0.35350 3.45422 0.60445 -0.14 0.27 0.44 0.383
H -4.33768 -1.44842 1.36139 -0.40 -0.01 -0.12 0.339
H -3.78220 1.18689 -1.23887 -0.46 -0.05 -0.44 0.359
```
Forces are in eV/Å.

Results
- gap between HOMO and LUMO (hartree) = 0.3701
- molecular weight (g/mol) = 310.56
- SMILES = C[C@@H](Cl)C[C@H](CP(=O)(O)O)OC(=O)P(=O)(O)O

C6H13INS | ωB97M-V/def2-TZVPD

The geometry in XYZ format:
```
22
Properties=species:S:1:pos:R:3:forces:R:3:mulliken_charge:R:1
C 1.37536 0.79261 -1.95662 0.40 -1.04 3.18 -0.619
C 1.28884 -0.73446 -1.95131 -1.60 -0.71 -0.16 -0.607